Job =
Please start at the top of the data underneath and reproduce each line, ending with the one that has "-0.734 -0.756".
Input =
/*
11
Properties=species:S:1:pos:R:3 method="wB97M-V/def2-TZVPD" de_lowest_kj_mol=435.9 fmax_ev_per_a=5.9 orbital_gap_ev="8.76 / 8.82" charge=+2 lumo_energy_ha="-0.3433 / -0.3431" multiplicity=8 total_energy_ev=-28626.2687
Eu -2.904 2.284 -1.158
O -1.230 0.326 -0.517
O -0.456 2.355 -0.778
O 1.006 0.661 -0.513
C -0.280 1.139 -0.693
C 0.056 -1.218 0.618
C 1.217 -0.485 0.095
H 0.380 -2.080 1.227
H -0.348 -0.651 1.470
H 2.159 -0.479 0.654
H 0.399 -1.852 -0.406

=====

9
Properties=species:S:1:pos:R:3 method="wB97M-V/def2-TZVPD" de_lowest_kj_mol=61.5 fmax_ev_per_a=6.2 orbital_gap_ev=10.31 charge=0 lumo_energy_ha=0.0372 total_energy_ev=-8609.4769
F -1.325 1.222 -0.250
F -1.065 -0.844 0.422
C -0.444 0.221 -0.055
C 1.844 -0.738 0.120
C 0.909 0.309 -0.288
H 1.095 1.071 -0.913
H 2.706 -0.433 0.852
H 2.382 -1.087 -0.725
H 1.483 -1.699 0.576

=====

10
Properties=species:S:1:pos:R:3 method="wB97M-V/def2-TZVPD" de_lowest_kj_mol=144.4 fmax_ev_per_a=4.2 orbital_gap_ev=10.74 charge=0 lumo_energy_ha=0.0268 total_energy_ev=-10656.4623
F 1.921 1.205 -0.210
F 2.912 -0.714 0.052
O -1.811 -0.368 -0.703
C 0.471 -0.597 0.127
C -0.920 0.246 0.182
C 1.679 -0.081 0.018
H -1.198 0.296 1.185
H -0.924 1.357 -0.145
H 0.402 -1.628 0.151
H -2.532 0.285 -0.658

=====

10
Properties=species:S:1:pos:R:3 method="wB97M-V/def2-TZVPD" de_lowest_kj_mol=328.3 fmax_ev_per_a=5.8 orbital_gap_ev=10.41 charge=0 lumo_energy_ha=0.0200 total_energy_ev=-10654.5564
F -1.046 1.720 -1.090
F -1.125 0.342 -2.814
O 1.588 0.041 1.432
C 0.197 0.045 1.307
C -0.807 0.417 -1.422
C -0.228 -0.479 -0.706
H 0.027 -1.558 -0.821
H -0.322 0.990 1.375
H -0.300 -0.771 1.629
H 2.018 -0.746 1.111

=====

10
Properties=species:S:1:pos:R:3 method="wB97M-V/def2-TZVPD" de_lowest_kj_mol=539.6 fmax_ev_per_a=4.0 orbital_gap_ev="9.57 / 6.27" charge=0 lumo_energy_ha="0.0018 / -0.0497" total_energy_ev=-10652.3669
F 2.184 1.066 0.478
F 3.884 -0.184 0.224
O -1.205 1.447 -0.633
C 2.544 -0.119 -0.076
C -0.690 0.618 0.230
C 1.715 -0.735 -0.845
H -0.772 2.428 -0.642
H 0.066 0.914 0.981
H -0.744 -0.462 -0.056
H 1.814 -1.712 -1.325

=====

10
Properties=species:S:1:pos:R:3 method="wB97M-V/def2-TZVPD" de_lowest_kj_mol=279.9 fmax_ev_per_a=0.8 orbital_gap_ev=9.49 charge=0 lumo_energy_ha=0.0108 total_energy_ev=-10655.0583
F 1.931 0.844 -1.475
F 2.201 -1.023 -0.591
O -1.655 -0.673 -0.492
C -0.871 0.315 -0.033
C -0.331 0.375 1.181
C 1.389 -0.345 -1.368
H -0.809 1.126 -0.745
H 0.276 1.208 1.484
H -1.702 -1.391 0.154
H -0.428 -0.436 1.885

=====

13
Properties=species:S:1:pos:R:3 method="wB97M-V/def2-TZVPD" de_lowest_kj_mol=319.9 fmax_ev_per_a=5.6 orbital_gap_ev=9.03 charge=0 lumo_energy_ha=-0.0258 total_energy_ev=-25584.4099
S -0.243 -0.307 0.285
F -2.911 -1.858 0.452
F -3.026 -0.706 -1.413
O 0.165 -0.912 1.538
O -2.024 0.168 0.386
O -1.063 -1.372 -0.731
C 2.203 1.009 0.259
C 1.095 0.432 -0.539
C -2.269 -0.914 -0.356
H 2.355 0.717 1.204
H 0.617 0.833 -1.325
H 2.049 2.102 0.471
H 3.052 0.807 -0.233

=====

11
Properties=species:S:1:pos:R:3 method="wB97M-V/def2-TZVPD" de_lowest_kj_mol=734.1 fmax_ev_per_a=4.3 orbital_gap_ev=9.95 charge=0 lumo_energy_ha=-0.0003 total_energy_ev=-12810.3856
F -2.690 -0.658 -0.627
F -4.662 -0.878 0.197
F 0.806 0.569 0.515
N -3.469 0.238 -0.210
C -0.234 1.448 0.580
C -0.504 2.331 -0.388
C -3.471 1.381 0.099
H -0.743 1.297 1.504
H 0.090 2.248 -1.326
H -1.334 2.966 -0.597
H -4.173 2.141 0.577

----------

A 2-piece molecular cluster, C3H7NOS overall in a non-equilibrium geometry. Source: OMol25; level of theory: the ωB97M-V functional and the def2-TZVPD basis.

## Properties
Kohn-Sham gap in eV: 9.16
ΔE to the lowest compared entry with this formula, charge and spin in kcal/mol: 64.8
SMILES string: CCSO.C#N

ORCA input file:
```
! wB97M-V def2-TZVPD RIJCOSX def2/J DEFGRID3
* xyz 0 1
C -0.734 -0.756 -0.063
C 0.504 -0.288 0.787
S 1.193 1.182 -0.056
O 1.966 0.345 -1.327
H -0.370 -1.159 -0.950
H -1.306 -1.533 0.550
H -1.356 0.021 -0.303
H 1.367 -0.818 0.991
H 0.130 0.139 1.735
H 1.686 0.691 -2.224
*/
Reply =
11
Properties=species:S:1:pos:R:3 method="wB97M-V/def2-TZVPD" de_lowest_kj_mol=435.9 fmax_ev_per_a=5.9 orbital_gap_ev="8.76 / 8.82" charge=+2 lumo_energy_ha="-0.3433 / -0.3431" multiplicity=8 total_energy_ev=-28626.2687
Eu -2.904 2.284 -1.158
O -1.230 0.326 -0.517
O -0.456 2.355 -0.778
O 1.006 0.661 -0.513
C -0.280 1.139 -0.693
C 0.056 -1.218 0.618
C 1.217 -0.485 0.095
H 0.380 -2.080 1.227
H -0.348 -0.651 1.470
H 2.159 -0.479 0.654
H 0.399 -1.852 -0.406

=====

9
Properties=species:S:1:pos:R:3 method="wB97M-V/def2-TZVPD" de_lowest_kj_mol=61.5 fmax_ev_per_a=6.2 orbital_gap_ev=10.31 charge=0 lumo_energy_ha=0.0372 total_energy_ev=-8609.4769
F -1.325 1.222 -0.250
F -1.065 -0.844 0.422
C -0.444 0.221 -0.055
C 1.844 -0.738 0.120
C 0.909 0.309 -0.288
H 1.095 1.071 -0.913
H 2.706 -0.433 0.852
H 2.382 -1.087 -0.725
H 1.483 -1.699 0.576

=====

10
Properties=species:S:1:pos:R:3 method="wB97M-V/def2-TZVPD" de_lowest_kj_mol=144.4 fmax_ev_per_a=4.2 orbital_gap_ev=10.74 charge=0 lumo_energy_ha=0.0268 total_energy_ev=-10656.4623
F 1.921 1.205 -0.210
F 2.912 -0.714 0.052
O -1.811 -0.368 -0.703
C 0.471 -0.597 0.127
C -0.920 0.246 0.182
C 1.679 -0.081 0.018
H -1.198 0.296 1.185
H -0.924 1.357 -0.145
H 0.402 -1.628 0.151
H -2.532 0.285 -0.658

=====

10
Properties=species:S:1:pos:R:3 method="wB97M-V/def2-TZVPD" de_lowest_kj_mol=328.3 fmax_ev_per_a=5.8 orbital_gap_ev=10.41 charge=0 lumo_energy_ha=0.0200 total_energy_ev=-10654.5564
F -1.046 1.720 -1.090
F -1.125 0.342 -2.814
O 1.588 0.041 1.432
C 0.197 0.045 1.307
C -0.807 0.417 -1.422
C -0.228 -0.479 -0.706
H 0.027 -1.558 -0.821
H -0.322 0.990 1.375
H -0.300 -0.771 1.629
H 2.018 -0.746 1.111

=====

10
Properties=species:S:1:pos:R:3 method="wB97M-V/def2-TZVPD" de_lowest_kj_mol=539.6 fmax_ev_per_a=4.0 orbital_gap_ev="9.57 / 6.27" charge=0 lumo_energy_ha="0.0018 / -0.0497" total_energy_ev=-10652.3669
F 2.184 1.066 0.478
F 3.884 -0.184 0.224
O -1.205 1.447 -0.633
C 2.544 -0.119 -0.076
C -0.690 0.618 0.230
C 1.715 -0.735 -0.845
H -0.772 2.428 -0.642
H 0.066 0.914 0.981
H -0.744 -0.462 -0.056
H 1.814 -1.712 -1.325

=====

10
Properties=species:S:1:pos:R:3 method="wB97M-V/def2-TZVPD" de_lowest_kj_mol=279.9 fmax_ev_per_a=0.8 orbital_gap_ev=9.49 charge=0 lumo_energy_ha=0.0108 total_energy_ev=-10655.0583
F 1.931 0.844 -1.475
F 2.201 -1.023 -0.591
O -1.655 -0.673 -0.492
C -0.871 0.315 -0.033
C -0.331 0.375 1.181
C 1.389 -0.345 -1.368
H -0.809 1.126 -0.745
H 0.276 1.208 1.484
H -1.702 -1.391 0.154
H -0.428 -0.436 1.885

=====

13
Properties=species:S:1:pos:R:3 method="wB97M-V/def2-TZVPD" de_lowest_kj_mol=319.9 fmax_ev_per_a=5.6 orbital_gap_ev=9.03 charge=0 lumo_energy_ha=-0.0258 total_energy_ev=-25584.4099
S -0.243 -0.307 0.285
F -2.911 -1.858 0.452
F -3.026 -0.706 -1.413
O 0.165 -0.912 1.538
O -2.024 0.168 0.386
O -1.063 -1.372 -0.731
C 2.203 1.009 0.259
C 1.095 0.432 -0.539
C -2.269 -0.914 -0.356
H 2.355 0.717 1.204
H 0.617 0.833 -1.325
H 2.049 2.102 0.471
H 3.052 0.807 -0.233

=====

11
Properties=species:S:1:pos:R:3 method="wB97M-V/def2-TZVPD" de_lowest_kj_mol=734.1 fmax_ev_per_a=4.3 orbital_gap_ev=9.95 charge=0 lumo_energy_ha=-0.0003 total_energy_ev=-12810.3856
F -2.690 -0.658 -0.627
F -4.662 -0.878 0.197
F 0.806 0.569 0.515
N -3.469 0.238 -0.210
C -0.234 1.448 0.580
C -0.504 2.331 -0.388
C -3.471 1.381 0.099
H -0.743 1.297 1.504
H 0.090 2.248 -1.326
H -1.334 2.966 -0.597
H -4.173 2.141 0.577

----------

A 2-piece molecular cluster, C3H7NOS overall in a non-equilibrium geometry. Source: OMol25; level of theory: the ωB97M-V functional and the def2-TZVPD basis.

## Properties
Kohn-Sham gap in eV: 9.16
ΔE to the lowest compared entry with this formula, charge and spin in kcal/mol: 64.8
SMILES string: CCSO.C#N

ORCA input file:
```
! wB97M-V def2-TZVPD RIJCOSX def2/J DEFGRID3
* xyz 0 1
C -0.734 -0.756 -0.063